No. 1
Ce2Y | PBE | optimized geometry

Cell: 6.343 6.343 6.343 Å, 60.00 60.00 60.00°
Element x y z (fractional)
Ce: 0.000 0.000 0.000
Ce: 0.000 0.000 0.500
Ce: 0.000 0.500 0.000
Ce: 0.500 0.000 0.000
Y: 0.375 0.375 0.375
Y: 0.625 0.625 0.625

The value obtained for the offset from the most stable computed form is 0.118 eV/atom. As for the formation energy: 0.202 eV/atom. Its space-group type is Fd-3m (227).

No. 2
Tm8ScSb6 | PBE | optimized geometry

Cell: 10.504 10.504 10.504 Å, 41.01 41.01 41.01°
Element x y z (fractional)
Tm: 0.039 0.383 0.719
Tm: 0.167 0.167 0.167
Tm: 0.281 0.961 0.617
Tm: 0.383 0.719 0.039
Tm: 0.617 0.281 0.961
Tm: 0.719 0.039 0.383
Tm: 0.833 0.833 0.833
Tm: 0.961 0.617 0.281
Sc: 0.500 0.500 0.500
Sb: 0.115 0.766 0.439
Sb: 0.234 0.561 0.885
Sb: 0.439 0.115 0.766
Sb: 0.561 0.885 0.234
Sb: 0.766 0.439 0.115
Sb: 0.885 0.234 0.561

Its energy relative to the elements, uncorrected is -0.6844 eV per atom. Its space-group type is R-3 (148).

| no. | M_tot (μB per formula unit) |
| --- | --- |
| 1 | 2.32 |
| 2 | 0.00 |
It remains to write out the whole of the material further up unchanged.
No. 1
Ce2Y | PBE | optimized geometry

Cell: 6.343 6.343 6.343 Å, 60.00 60.00 60.00°
Element x y z (fractional)
Ce: 0.000 0.000 0.000
Ce: 0.000 0.000 0.500
Ce: 0.000 0.500 0.000
Ce: 0.500 0.000 0.000
Y: 0.375 0.375 0.375
Y: 0.625 0.625 0.625

The value obtained for the offset from the most stable computed form is 0.118 eV/atom. As for the formation energy: 0.202 eV/atom. Its space-group type is Fd-3m (227).

No. 2
Tm8ScSb6 | PBE | optimized geometry

Cell: 10.504 10.504 10.504 Å, 41.01 41.01 41.01°
Element x y z (fractional)
Tm: 0.039 0.383 0.719
Tm: 0.167 0.167 0.167
Tm: 0.281 0.961 0.617
Tm: 0.383 0.719 0.039
Tm: 0.617 0.281 0.961
Tm: 0.719 0.039 0.383
Tm: 0.833 0.833 0.833
Tm: 0.961 0.617 0.281
Sc: 0.500 0.500 0.500
Sb: 0.115 0.766 0.439
Sb: 0.234 0.561 0.885
Sb: 0.439 0.115 0.766
Sb: 0.561 0.885 0.234
Sb: 0.766 0.439 0.115
Sb: 0.885 0.234 0.561

Its energy relative to the elements, uncorrected is -0.6844 eV per atom. Its space-group type is R-3 (148).

| no. | M_tot (μB per formula unit) |
| --- | --- |
| 1 | 2.32 |
| 2 | 0.00 |